Dr S. Abirami
Learning Objectives
In the previous module, we have studied about the basics of webservice, components of web service, architecture of web services and applications of web services. In this module, we are going to learn how to create a new web service and how to deploy it using NETBEANS IDE.Also, consumption of web services in different modes is going to be learnt.
Here, we are going to see how to create a web service in Java using NetBeans IDE using GlassFish 4.0 specifications.
1.1 Creating a Web Service in Java using NetBeans IDE
The step-by-step instructions to create and deploy a web service in Java using NetBeans
IDE and GlassFish 4.0 are as follows:
Prerequistites for creating the web service is the requirement of NetBeans 8.0 IDE which can be downloaded from https://netbeans.org/downloads/ – Link.
Step 1:To create a Java based web service, open NetBeans IDE and click on New Project and choose Java Web -> Web Application as shown in Figure 1. Enter the Project Name as CalculationWS, use the default settings and then click on “Finish”. Now the server required for the web service need to be selected and the server chosen here Glass Fish server with Java EE 7 Web version as shown in Figure 2.Now a new Project has been created using these settings.

Figure 1. Creation of a Web Application

Step 2: Create a Web Service
Once the project has been created, now we are supposed to create a web service. For that, go to the Project Tree Structure displayed on the left side of the window. Right click on the project and select “New” and then choose “Web Service” as shown in Figure 3.

### What comes next are records of crystals, not part of the text
Entry 1:
Entry from the Materials Project: crystalline Te15Mo2Br12O2 at its relaxed geometry (PBE with a Hubbard U).

The structure in POSCAR format:
```
Te15Mo2Br12O2
1.0
5.3441 -5.5037 -2.8466
-4.1915 -11.7601 8.9579
-7.2704 -1.7201 -4.4082
Te Mo Br O
15 2 12 2
Direct
0.6946 0.8440 0.6276
0.1967 0.8441 0.6283
0.3081 0.1485 0.3863
0.8095 0.1497 0.3838
0.9440 0.9560 0.7321
0.4413 0.9610 0.7240
0.0566 0.0397 0.2697
0.5581 0.0398 0.2706
0.7939 0.7000 0.8767
0.2943 0.7000 0.8772
0.2037 0.3071 0.1215
0.7031 0.3079 0.1199
0.0748 0.7548 0.0533
0.4253 0.2384 0.9408
0.9255 0.2365 0.9404
0.5440 0.5004 0.5004
0.0451 0.5005 0.4996
0.9485 0.6661 0.4668
0.4511 0.6681 0.4752
0.0465 0.3321 0.5208
0.5471 0.3325 0.5223
0.0760 0.4915 0.7984
0.5758 0.4942 0.8004
0.9207 0.5045 0.1970
0.4222 0.5060 0.1981
0.1725 0.1001 0.8022
0.6793 0.1003 0.8021
0.8200 0.9112 0.1988
0.3245 0.9109 0.2003
0.2589 0.4999 0.4995
0.7575 0.4997 0.4997
```

DFT formation energy: -1019.1 kJ/mol of formula units
Raw total energy: -3.263 eV/atom
SG: P1, No. 1
Magnetization: 1.99 μB/f.u.

---

Entry 2:
Entry from the Materials Project: crystalline NaW2Br6O2 at its relaxed geometry (PBE with a Hubbard U).

The structure in POSCAR format:
```
NaW2Br6O2
1.0
1.9371 9.0061 0.0000
-1.9371 9.0061 0.0000
0.0000 6.9295 8.8885
Na W Br O
1 2 6 2
Direct
0.5000 0.5000 0.5000
0.0007 0.0007 0.1741
0.9993 0.9993 0.8259
0.8744 0.8744 0.4624
0.1285 0.1285 0.8704
0.1306 0.1306 0.2016
0.1256 0.1256 0.5376
0.8694 0.8694 0.7984
0.8715 0.8715 0.1296
0.5013 0.5013 0.8286

Figure 3. Creation of Web service
Specify web service name as “CalWS” and package name as “CalculationWS” as indicated in Figure 4. Click on “Finish” to create a new web service.

Figure 4. Naming of new Web Service
Once the web service creation is over, the next step is to create a method over it which can act on the web service created. Once you open the CalWS in the editor, you will get a skeleton code. Inside the skeleton code, you can enter the code as per your requirement. According to this project, in CalWS.java file, the original hello() function has been replaced with the following code:
@WebMethod(operationName = “Add”)
public String Add(@WebParam(name = “value1”) String value1,@WebParam(name = “value2”) String value2 ) {
float value=Float.valueOf(value1)+Float.valueOf(value2); return (Float.toString(value));
Here, @Web method corresponds to the method of web service, @WebParam corrersponds to the parameters passed to the method with two string arguments. In this code, value of two floating point numbers has been added and a string equivalent of that value has been returned. Now the web service method has been created.
Step 3: Deploy and Test Web Service by choosing Projects->CalculationWS->Deploy. Right click on the project and select “Deploy” as shown in Figure 5.

This is to deploy all the web services in this project. Once the web service has been deployed, you will get a message that, “web service deployed successfully”. To test the web service, right click on the service and select “Test Web Service”. Again, Right click on the project and select “clean and build”, a war file will be automatically generated under the “dist” directory as shown in Figure 6.

Once tested, tester page will be displayed as shown in Figure 7, type two numbers in the tester page and deploy it using glassfish server. The sum of the two numbers will be displayed as shown in the figure 8.

After the creation of web service, some client applications need to get developed inorder to consume the web services. The web service can be consumed by creating a client application using anyone of the following ways:
- Java Class in Java SE Application
- Servlet in Web Application
- JSP Page in Web Application
2.1 Java Class in Java SE Application
- A Java class in a Java SE application can be created to consume a web service by following the given steps:
- Choose File > New Project (Ctrl-Shift-N on Linux and Windows).
- Select Java Application from the Java category. Name the project as “CalculatorWS_Client_Application”. Create Main Class selected and accept all other default settings.
- Click Finish to create the client application.
- Once the client application has been created, Right-click
- the CalculatorWS_Client_Application node and choose New > Web Service Client. The New Web Service Client wizard opens.
- Select Project as the WSDL source. Click Browse. Browse to the CalWS web service from the CalculationWS in the CalculatorWSApplication project as shown in the figure 9.

- When you have selected the web service, click OK. The following dialog box shown in Figure 10 gets opened, where you don’t select a package name and leave that field empty. Leave the other settings at default and click Finish.

### Unrelated to this piece: calculated crystals
Run i
NaYSi2O6: relaxed, PBE-GGA.

Structure (POSCAR):
```
NaYSi2O6
1.0
-0.440 13.812 1.047
-5.477 -0.183 0.107
-2.468 -0.629 7.260
Si Y O Na
8 4 24 4
direct
0.138 0.418 0.933 Si
0.862 0.582 0.067 Si
0.140 0.429 0.356 Si
0.638 0.582 0.567 Si
0.860 0.571 0.644 Si
0.640 0.571 0.144 Si
0.362 0.418 0.433 Si
0.360 0.429 0.856 Si
0.994 0.983 0.752 Y
0.006 0.017 0.248 Y
0.506 0.983 0.252 Y
0.494 0.017 0.748 Y
0.249 0.316 0.920 O
0.937 0.800 0.082 O
0.378 0.381 0.655 O
0.934 0.788 0.516 O
0.749 0.684 0.580 O
0.751 0.684 0.080 O
0.878 0.619 0.845 O
0.437 0.200 0.418 O
0.251 0.316 0.420 O
0.122 0.381 0.155 O
0.625 0.284 0.696 O
0.125 0.716 0.804 O
0.066 0.212 0.484 O
0.375 0.716 0.304 O
0.434 0.212 0.984 O
0.634 0.267 0.171 O
0.875 0.284 0.196 O
0.566 0.788 0.016 O
0.134 0.733 0.329 O
0.866 0.267 0.671 O
0.622 0.619 0.345 O
0.563 0.800 0.582 O
0.366 0.733 0.829 O
0.063 0.200 0.918 O
0.731 0.137 0.954 Na
0.231 0.863 0.546 Na
0.269 0.863 0.046 Na
0.769 0.137 0.454 Na
```

Calculated values
SG   P2_1/c, No. 14
Crystal system   monoclinic

***

Run ii
NaYSi2O6: relaxed, PBE-GGA.

Structure (POSCAR):
```
NaYSi2O6
1.0
-5.690 3.532 0.307
-1.036 -4.192 -5.129
-9.480 -12.102 9.081
Y O Na Si
6 36 6 12
direct
0.639 0.735 0.427 Y
0.361 0.265 0.573 Y
0.608 0.392 0.750 Y
0.735 0.639 0.927 Y
0.265 0.361 0.073 Y
0.392 0.608 0.250 Y
0.276 0.041 0.049 O
0.709 0.718 0.802 O
0.470 0.275 0.315 O
0.681 0.329 0.622 O
0.675 0.992 0.557 O
0.852 0.029 0.681 O
0.628 0.435 0.048 O
0.085 0.725 0.884 O
0.329 0.681 0.122 O
0.959 0.724 0.451 O
0.282 0.291 0.698 O
0.033 0.510 0.277 O
0.967 0.490 0.723 O
0.992 0.675 0.057 O
0.510 0.033 0.777 O
0.029 0.852 0.181 O
0.724 0.959 0.951 O
0.565 0.372 0.452 O
0.041 0.276 0.549 O
0.008 0.325 0.943 O
0.725 0.530 0.185 O
0.275 0.915 0.616 O
0.971 0.148 0.819 O
0.435 0.628 0.548 O
0.325 0.008 0.443 O
0.718 0.709 0.302 O
0.530 0.725 0.685 O
0.372 0.565 0.952 O
0.725 0.085 0.384 O
0.275 0.470 0.815 O
0.490 0.967 0.223 O
0.291 0.282 0.198 O
0.148 0.971 0.319 O
0.671 0.319 0.878 O
0.915 0.275 0.116 O
0.319 0.671 0.378 O
0.876 0.124 0.250 Na
0.124 0.876 0.750 Na
0.362 0.995 0.917 Na
0.005 0.638 0.583 Na
0.638 0.005 0.083 Na
0.995 0.362 0.417 Na
0.534 0.191 0.398 Si
0.354 0.114 0.257 Si
0.821 0.167 0.601 Si
0.114 0.354 0.757 Si
0.167 0.821 0.101 Si
0.191 0.534 0.898 Si
0.179 0.833 0.399 Si
0.833 0.179 0.899 Si
0.886 0.646 0.243 Si
0.646 0.886 0.743 Si
0.466 0.809 0.602 Si
0.809 0.466 0.102 Si
```

Calculated values
SG   C2/c, No. 15
Crystal system   monoclinic

***

It is run i that is the most stable of them.

***

Run i
Na2ZrSi3O11: relaxed, PBE-GGA.

Structure (POSCAR):
```
Na2ZrSi3O11
1.0
6.433 3.731 0.000
-6.433 3.731 0.000
0.000 0.031 10.415
Si O Zr Na
6 22 2 4
direct
0.606 0.803 0.749 Si
0.804 0.196 0.250 Si
0.803 0.606 0.249 Si
0.394 0.197 0.251 Si
0.196 0.804 0.750 Si
0.197 0.394 0.751 Si
0.864 0.133 0.384 O
0.452 0.548 0.750 O
0.738 0.871 0.880 O
0.871 0.738 0.380 O
0.269 0.131 0.387 O
0.500 0.500 0.500 O
0.129 0.262 0.620 O
0.548 0.094 0.257 O

- Ø The projects window displays the new web service client, with a link node under web service references for the addition method that you have created using the web service . This is shown in Figure 11.

## Between two parts of the piece: data records
┌──
Density functional theory data (PBE+U) for a relaxed VFeP2O8F2 crystal.

Cell lengths 7.052, 7.636, 7.382 Å; angles 91.72, 117.44, 88.14 degrees
Element x y z (fractional)
1 V 0.500 0.500 0.000
2 V 0.000 0.000 0.000
3 Fe 0.000 0.500 0.500
4 Fe 0.500 0.000 0.500
5 P 0.266 0.849 0.752
6 P 0.766 0.349 0.752
7 P 0.733 0.151 0.248
8 P 0.234 0.651 0.248
9 O 0.194 0.940 0.904
10 O 0.694 0.440 0.904
11 O 0.806 0.060 0.096
12 O 0.306 0.560 0.096
13 O 0.582 0.243 0.594
14 O 0.082 0.743 0.594
15 O 0.418 0.757 0.406
16 O 0.918 0.257 0.406
17 O 0.346 0.991 0.665
18 O 0.846 0.491 0.666
19 O 0.654 0.009 0.334
20 O 0.154 0.509 0.335
21 O 0.542 0.279 0.117
22 O 0.042 0.779 0.118
23 O 0.458 0.721 0.882
24 O 0.958 0.221 0.883
25 F 0.225 0.085 0.246
26 F 0.725 0.585 0.246
27 F 0.775 0.915 0.754
28 F 0.275 0.415 0.754

E (MP2020): -7.618 eV/atom
DFT formation energy: -2.489 eV/atom
ρ: 3.15 Mg/m³
Polymorph energy (0 for the lowest one): 0.00 eV/f.u.
Magnetization: 0.0 μB/cell
E_tot: -0.5054 Ry per atom


# Li2MnP4O12 (PBE+U, relaxed)
# energy relative to the lowest polymorph listed for this composition: 61 meV per atom
data_Li2MnP4O12
_cell_length_a 11.1423
_cell_length_b 7.4906
_cell_length_c 13.2139
_cell_angle_alpha 74.52
_cell_angle_beta 90.00
_cell_angle_gamma 90.00
_symmetry_space_group_name_H-M 'P 1'
_symmetry_Int_Tables_number 1
loop_
_symmetry_equiv_pos_as_xyz
'x,y,z'
loop_
_atom_site_label
_atom_site_fract_x
_atom_site_fract_y
_atom_site_fract_z
_atom_site_occupancy
O1 0.2745 0.6746 0.4106 1
O2 0.6691 0.9432 0.0238 1
O3 0.5684 0.9388 0.6382 1
O4 0.1691 0.0568 0.4762 1
O5 0.8402 0.0360 0.3203 1
O6 0.6420 0.9521 0.4178 1
O7 0.1469 0.4645 0.0786 1
O8 0.3402 0.9640 0.1797 1
O9 0.6469 0.5355 0.4214 1
O10 0.1420 0.0479 0.0822 1
O11 0.3768 0.5031 0.0519 1
O12 0.2255 0.6746 0.9106 1
O13 0.7419 0.2494 0.4117 1
O14 0.7316 0.7191 0.2469 1
O15 0.8768 0.4969 0.4481 1
O16 0.7684 0.7191 0.7469 1
O17 0.6598 0.0360 0.8203 1
O18 0.4044 0.8942 0.7779 1
O19 0.1232 0.5031 0.5519 1
O20 0.4774 0.2172 0.6840 1
O21 0.0226 0.2172 0.1840 1
O22 0.5477 0.5091 0.2462 1
O23 0.0477 0.4909 0.2538 1
O24 0.2419 0.7506 0.0883 1
O25 0.0956 0.8942 0.2779 1
O26 0.7255 0.3254 0.5894 1
O27 0.3309 0.0568 0.9762 1
O28 0.5956 0.1058 0.2221 1
O29 0.2581 0.7506 0.5883 1
O30 0.7581 0.2494 0.9117 1
O31 0.2316 0.2809 0.2531 1
O32 0.9044 0.1058 0.7221 1
O33 0.4523 0.4909 0.7538 1
O34 0.4316 0.0612 0.3618 1
O35 0.3531 0.4645 0.5786 1
O36 0.8580 0.9521 0.9178 1
O37 0.9523 0.5091 0.7462 1
O38 0.6232 0.4969 0.9481 1
O39 0.9316 0.9388 0.1382 1
O40 0.1598 0.9640 0.6797 1
O41 0.7745 0.3254 0.0894 1
O42 0.2684 0.2809 0.7531 1
O43 0.9774 0.7828 0.8160 1
O44 0.5226 0.7828 0.3160 1
O45 0.8309 0.9432 0.5238 1
O46 0.3580 0.0479 0.5822 1
O47 0.8531 0.5355 0.9214 1
O48 0.0684 0.0612 0.8618 1
P1 0.0446 0.0091 0.1765 1
P2 0.2250 0.9630 0.5816 1
P3 0.8838 0.6312 0.7982 1
P4 0.4554 0.0091 0.6765 1
P5 0.7547 0.4021 0.4759 1
P6 0.7453 0.4021 0.9759 1
P7 0.6162 0.6312 0.2982 1
P8 0.1162 0.3688 0.2018 1
P9 0.7250 0.0370 0.9184 1
└──

- Double-click the main class so that it opens in the Source Editor. Drag the add node below the main() method as shown in Figure 12.

Alternatively, instead of dragging the add node, you can right-click in the editor and then choose Insert Code > Call Web Service Operation.
public static void main (String args[])
private static string addition(float i, float j)
org.me.Calculation.CalWS_service = new org.me.Calculation.CalWS_service(); Org.me.Calculation.CalWSport = service.getCalWSport(); return port.add(i,j);
In the main() method body, replace the TODO comment with code that initializes values for i and j, calls add(), and prints the result.
public static void main(String[] args)
int i = 3;
int j = 4;
result = add(i, j);
System.out.println(“Result = ” + result);
The Output window now shows the sum:
Compile: run: Result = 7
BUILD SUCCESSFUL (total time: 1 second)
2.2 JSP Page in Web Application
The web service can be consumed by creating a JSP page which is done by following the given steps:
- Choose File -> New Project (Ctrl+Shift+N on Linux and Windows).
- Select Web Application from the Java Web category. Name the project “CalculatorWSJSPClient”. Clicknext and then click Finish.
- Expand the web page node under the project node and delete index.html.
- Right click on the web pages node and choose new->JSP in the popup menu.
- If JSP is not available in the popup menu. Choose new->Other and select JSP in the web category of the new file wizard.
- Type index for the name of the JSP file in the new file wizard and click finish.
- Right click the CAlculatorWSJSPClient node and choose new -> web service client.
- Select project as the WSDL source. Click browse and browse the CalWS web service in the CalculatorWSApplication project.
- After selecting the web service, Click OK.
- In the web service reference node, expand the node represents the web service.
- The add operation that has to be invoked by the client is now exposed.
- Drag the add operation to the client’s index.jsp page and drop it below the H1 tags.
- The code for invoking the service’s operation is now generated in the index.jsp as shown below:
try { org.me.calculation.CalWS_Service service = new
org.me.calculation.CalWS port = service.getCalWSPort();
int i=0;
int j=0;
int result= port.add(i, j);
out.println(“Result=” +result);
catch{Exception ex}
{//TODO handle custom exceptions here}
The values for i and j are changed from zero to other integer, such as 3 and 4.Replace the comment section of the TODO in the exception handling catch block with
“out.println (“exception” +ex);”
When the above code is executed, the output will be displayed as follows in figure 13.

In this module, we have learnt about the creation and deployment of web services. Following that, we have learnt about the various ways in which a web service can be consumed by different types of applications such as Java and JSP.
Web Links
- https://www.tutorialspoint.com/webservices/what_are_web_services.htm
- http://www.java4s.com/web-services/
- http://javapapers.com/web-service/restful-services-http-basic-authentication/
- https://www.cl.cam.ac.uk/~ib249/teaching/Lecture1.handout.pdf
- https://www.w3schools.com/xml/xml_services.asp
- https://www.javatpoint.com/web-services-tutorial
- https://www.cs.colorado.edu/~kena/classes/7818/f08/lectures/lecture_4_netbeans_presenta.pdf
- http://vhost3.cs.rit.edu/project_web_page/webservices.html
- http://cs.ulb.ac.be/public/teaching/infoh511
- https://www.fas.harvard.edu/~cscie259/distribution/lectures/1/lecture1.pdf
- http://www.java2blog.com/2013/03/web-service-tutorial.html
- http://www2.imm.dtu.dk/courses/02267/slides/weekp08.pdf
- David Chappell and Tyler Jewell, “Java Web Services”, First Edition, O’Reilly, 2002
- Paul J. Deitel, Harvey Deitel, “Java How to Program”, Ninth Edition, Pearson,2012.